**Job**
Reproduce all of the notes further down verbatim.

**Listing**
1.
{"formula": "C7H11N3O2S", "method": "ωB97M-V/def2-TZVPD", "elements": ["C", "C", "C", "C", "C", "C", "C", "N", "N", "N", "O", "O", "S", "H", "H", "H", "H", "H", "H", "H", "H", "H", "H", "H"], "xyz": [[2.94576, 1.51283, -0.30168], [3.32743, -0.15682, 1.35861], [-2.15845, 1.50981, -0.27455], [-1.43454, -1.45801, -0.75755], [-0.43948, -0.65431, 1.43717], [-0.73753, 0.98547, -0.49681], [-0.56963, -0.44517, -0.04515], [3.04448, 2.43820, -0.98171], [3.79814, -0.77210, 2.21262], [2.67977, 0.52672, 0.48102], [1.24227, -0.61729, -2.09936], [1.45316, -2.26771, -0.28325], [1.08926, -0.96349, -0.72500], [-2.86601, 1.01058, -0.93301], [-2.18767, 2.57370, -0.49191], [-2.46823, 1.36484, 0.75707], [-2.47362, -1.34776, -0.44422], [-1.38196, -1.31780, -1.83456], [-1.11795, -2.47163, -0.51551], [-0.01774, -1.63409, 1.64636], [-1.41350, -0.59047, 1.92262], [0.21081, 0.09850, 1.87809], [-0.03444, 1.61760, 0.04877], [-0.49032, 1.05839, -1.55806]], "forces_ev_per_angstrom": [[0.5, 0.9, -0.2], [0.8, -0.1, 0.7], [0.2, -0.2, 0.0], [-0.4, -0.4, -0.2], [0.0, 0.0, 0.5], [-0.3, 0.6, -0.2], [0.7, 0.2, 0.1], [0.1, 0.4, -0.5], [0.3, -0.4, 0.3], [-3.1, -1.9, -1.2], [0.1, 0.5, 0.3], [0.2, 0.3, 0.5], [1.3, 0.0, -0.2], [-0.1, 0.0, 0.0], [0.0, 0.1, 0.0], [-0.1, 0.0, 0.1], [0.1, 0.1, 0.1], [-0.1, 0.0, -0.1], [-0.1, 0.0, 0.0], [-0.1, -0.1, 0.1], [-0.1, 0.0, -0.1], [0.0, 0.0, 0.0], [0.1, 0.0, 0.0], [0.0, 0.1, 0.1]], "homo_lumo_gap_ev": [6.8, 6.8]}


2.
{"formula": "C7H11N3O4", "method": "ωB97M-V/def2-TZVPD", "elements": ["C", "C", "C", "C", "C", "C", "C", "N", "N", "N", "O", "O", "O", "O", "H", "H", "H", "H", "H", "H", "H", "H", "H", "H", "H"], "xyz": [[-0.77321, -0.66142, 1.09659], [0.18690, 0.11840, -0.32718], [0.89872, 1.84706, 1.27121], [-0.52506, -0.02762, 2.37859], [-1.15989, 0.17165, -2.27551], [1.42143, -0.10843, -2.51283], [0.08571, -0.44735, -1.63869], [0.71901, 1.27832, -0.00925], [0.13737, 1.32055, 2.26044], [-0.87988, -2.01910, 0.97818], [1.50515, 2.86308, 1.42733], [-0.79759, -2.70066, -0.06984], [-1.23455, -2.49814, 2.10066], [0.19031, -0.63355, 3.39760], [-1.55737, 0.38897, 2.70404], [-2.08709, 0.13104, -1.66099], [-1.34867, -0.41353, -3.19893], [-1.10138, 1.26397, -2.53255], [1.80802, 0.84631, -2.31926], [1.11623, -0.48159, -3.50123], [2.07351, -0.77212, -2.00687], [0.07504, -1.56566, -1.61987], [1.11743, 1.80029, -0.77461], [0.37585, 1.76691, 3.14762], [-0.24598, -1.46736, 3.68534]], "forces_ev_per_angstrom": [[3.9, 1.7, -6.2], [-2.8, -2.1, 6.4], [-2.1, -0.3, 1.5], [-1.8, 3.5, 1.8], [-1.5, 0.2, -0.8], [-3.1, -2.2, 1.4], [1.8, 0.6, -2.0], [0.1, -1.2, -1.7], [0.6, -1.0, -0.7], [-0.9, -0.4, 1.0], [1.3, 0.8, -0.7], [0.0, 0.9, 1.3], [0.2, -0.6, -1.1], [0.0, -1.0, 0.4], [1.1, -1.4, 0.3], [0.7, -0.4, -0.2], [-0.1, 0.6, 0.4], [0.6, -1.0, 0.1], [0.2, 1.6, -0.8], [0.9, 0.8, 0.1], [1.3, -0.8, -0.2], [-0.6, 1.2, 0.4], [0.3, 0.5, 0.1], [-0.4, -0.5, -0.3], [0.2, 0.7, -0.7]], "homo_lumo_gap_ev": [7.7, 7.7], "smiles": "CC(C)C1=C([N+](=O)[O-])[C@@H](O)NC(=O)N1"}


3.

**Written answer**
1.
{"formula": "C7H11N3O2S", "method": "ωB97M-V/def2-TZVPD", "elements": ["C", "C", "C", "C", "C", "C", "C", "N", "N", "N", "O", "O", "S", "H", "H", "H", "H", "H", "H", "H", "H", "H", "H", "H"], "xyz": [[2.94576, 1.51283, -0.30168], [3.32743, -0.15682, 1.35861], [-2.15845, 1.50981, -0.27455], [-1.43454, -1.45801, -0.75755], [-0.43948, -0.65431, 1.43717], [-0.73753, 0.98547, -0.49681], [-0.56963, -0.44517, -0.04515], [3.04448, 2.43820, -0.98171], [3.79814, -0.77210, 2.21262], [2.67977, 0.52672, 0.48102], [1.24227, -0.61729, -2.09936], [1.45316, -2.26771, -0.28325], [1.08926, -0.96349, -0.72500], [-2.86601, 1.01058, -0.93301], [-2.18767, 2.57370, -0.49191], [-2.46823, 1.36484, 0.75707], [-2.47362, -1.34776, -0.44422], [-1.38196, -1.31780, -1.83456], [-1.11795, -2.47163, -0.51551], [-0.01774, -1.63409, 1.64636], [-1.41350, -0.59047, 1.92262], [0.21081, 0.09850, 1.87809], [-0.03444, 1.61760, 0.04877], [-0.49032, 1.05839, -1.55806]], "forces_ev_per_angstrom": [[0.5, 0.9, -0.2], [0.8, -0.1, 0.7], [0.2, -0.2, 0.0], [-0.4, -0.4, -0.2], [0.0, 0.0, 0.5], [-0.3, 0.6, -0.2], [0.7, 0.2, 0.1], [0.1, 0.4, -0.5], [0.3, -0.4, 0.3], [-3.1, -1.9, -1.2], [0.1, 0.5, 0.3], [0.2, 0.3, 0.5], [1.3, 0.0, -0.2], [-0.1, 0.0, 0.0], [0.0, 0.1, 0.0], [-0.1, 0.0, 0.1], [0.1, 0.1, 0.1], [-0.1, 0.0, -0.1], [-0.1, 0.0, 0.0], [-0.1, -0.1, 0.1], [-0.1, 0.0, -0.1], [0.0, 0.0, 0.0], [0.1, 0.0, 0.0], [0.0, 0.1, 0.1]], "homo_lumo_gap_ev": [6.8, 6.8]}


2.
{"formula": "C7H11N3O4", "method": "ωB97M-V/def2-TZVPD", "elements": ["C", "C", "C", "C", "C", "C", "C", "N", "N", "N", "O", "O", "O", "O", "H", "H", "H", "H", "H", "H", "H", "H", "H", "H", "H"], "xyz": [[-0.77321, -0.66142, 1.09659], [0.18690, 0.11840, -0.32718], [0.89872, 1.84706, 1.27121], [-0.52506, -0.02762, 2.37859], [-1.15989, 0.17165, -2.27551], [1.42143, -0.10843, -2.51283], [0.08571, -0.44735, -1.63869], [0.71901, 1.27832, -0.00925], [0.13737, 1.32055, 2.26044], [-0.87988, -2.01910, 0.97818], [1.50515, 2.86308, 1.42733], [-0.79759, -2.70066, -0.06984], [-1.23455, -2.49814, 2.10066], [0.19031, -0.63355, 3.39760], [-1.55737, 0.38897, 2.70404], [-2.08709, 0.13104, -1.66099], [-1.34867, -0.41353, -3.19893], [-1.10138, 1.26397, -2.53255], [1.80802, 0.84631, -2.31926], [1.11623, -0.48159, -3.50123], [2.07351, -0.77212, -2.00687], [0.07504, -1.56566, -1.61987], [1.11743, 1.80029, -0.77461], [0.37585, 1.76691, 3.14762], [-0.24598, -1.46736, 3.68534]], "forces_ev_per_angstrom": [[3.9, 1.7, -6.2], [-2.8, -2.1, 6.4], [-2.1, -0.3, 1.5], [-1.8, 3.5, 1.8], [-1.5, 0.2, -0.8], [-3.1, -2.2, 1.4], [1.8, 0.6, -2.0], [0.1, -1.2, -1.7], [0.6, -1.0, -0.7], [-0.9, -0.4, 1.0], [1.3, 0.8, -0.7], [0.0, 0.9, 1.3], [0.2, -0.6, -1.1], [0.0, -1.0, 0.4], [1.1, -1.4, 0.3], [0.7, -0.4, -0.2], [-0.1, 0.6, 0.4], [0.6, -1.0, 0.1], [0.2, 1.6, -0.8], [0.9, 0.8, 0.1], [1.3, -0.8, -0.2], [-0.6, 1.2, 0.4], [0.3, 0.5, 0.1], [-0.4, -0.5, -0.3], [0.2, 0.7, -0.7]], "homo_lumo_gap_ev": [7.7, 7.7], "smiles": "CC(C)C1=C([N+](=O)[O-])[C@@H](O)NC(=O)N1"}


3.